## Request
The reader should retype the notes further down verbatim.
## Input
+++
This record from the Materials Project describes crystalline Ti3Zn3C at its relaxed geometry. The functional is r²SCAN.

Values from the calculation:
Total DFT energy (no corrections): -11.290 eV/atom
ΔH_f (0 K): -506 meV per atom
Space group: Fd-3m

Lattice parameters (Å, degrees): 8.138 8.138 8.138 60.00 60.00 60.00
Atoms (fractional coordinates):
Ti1 0.933 0.567 0.567
Ti2 0.317 0.317 0.683
Ti3 0.317 0.683 0.317
Ti4 0.933 0.933 0.567
Ti5 0.683 0.317 0.683
Ti6 0.933 0.567 0.933
Ti7 0.567 0.933 0.933
Ti8 0.683 0.683 0.317
Ti9 0.683 0.317 0.317
Ti10 0.567 0.567 0.933
Ti11 0.567 0.933 0.567
Ti12 0.317 0.683 0.683
C1 0.625 0.625 0.125
C2 0.625 0.625 0.625
C3 0.625 0.125 0.625
C4 0.125 0.625 0.625
Zn1 0.334 0.998 0.334
Zn2 0.125 0.625 0.125
Zn3 0.252 0.916 0.916
Zn4 0.916 0.916 0.916
Zn5 0.334 0.334 0.998
Zn6 0.125 0.125 0.625
Zn7 0.625 0.125 0.125
Zn8 0.916 0.252 0.916
Zn9 0.125 0.125 0.125
Zn10 0.916 0.916 0.252
Zn11 0.998 0.334 0.334
Zn12 0.334 0.334 0.334

This record from the Materials Project describes crystalline Yb3TlC at its relaxed geometry. The functional is r²SCAN.

Values from the calculation:
Total DFT energy (no corrections): -32.964 eV/atom
ΔH_f (0 K): 1579 meV per atom
Space group: Pm-3m

Lattice parameters (Å, degrees): 5.452 5.452 5.452 90.00 90.00 90.00
Atoms (fractional coordinates):
Tl1 0.500 0.500 0.500
Yb1 0.000 0.500 0.500
Yb2 0.500 0.000 0.500
Yb3 0.500 0.500 0.000
C1 0.000 0.000 0.000

This record from the Materials Project describes crystalline Tm2C at its relaxed geometry. The functional is r²SCAN.

Values from the calculation:
Total DFT energy (no corrections): -27.236 eV/atom
ΔH_f (0 K): -506 meV per atom
Space group: R-3m

Lattice parameters (Å, degrees): 3.533 3.533 6.283 73.67 90.00 120.00
Atoms (fractional coordinates):
Tm1 0.990 0.980 0.029
Tm2 0.510 0.020 0.471
C1 0.250 0.500 0.250

Number 1 is which compound? Ti3Zn3C

~~~~~

[1]
DFT (PBE) results for crystalline Na4Al3Si3NO12 at its relaxed geometry.

```
data_Na4Al3Si3NO12
_chemical_formula_sum 'Na8 Al6 Si6 N2 O24'
_cell_length_a 8.917
_cell_length_b 8.917
_cell_length_c 8.917
_cell_angle_alpha 90.00
_cell_angle_beta 90.00
_cell_angle_gamma 90.00
_symmetry_space_group_name_H-M 'P 1'
_symmetry_Int_Tables_number 1
_symmetry_space_group_name_Hall 'P 1'
loop_
_atom_site_label
_atom_site_type_symbol
_atom_site_fract_x
_atom_site_fract_y
_atom_site_fract_z
_atom_site_occupancy
Na1 Na 0.171 0.171 0.171 1
Na2 Na 0.171 0.829 0.829 1
Na3 Na 0.329 0.329 0.671 1
Na4 Na 0.329 0.671 0.329 1
Na5 Na 0.671 0.329 0.329 1
Na6 Na 0.671 0.671 0.671 1
Na7 Na 0.829 0.171 0.829 1
Na8 Na 0.829 0.829 0.171 1
Al1 Al 0.000 0.250 0.500 1
Al2 Al 0.000 0.750 0.500 1
Al3 Al 0.250 0.500 0.000 1
Al4 Al 0.500 0.000 0.250 1
Al5 Al 0.500 0.000 0.750 1
Al6 Al 0.750 0.500 0.000 1
Si1 Si 0.000 0.500 0.250 1
Si2 Si 0.000 0.500 0.750 1
Si3 Si 0.250 0.000 0.500 1
Si4 Si 0.500 0.250 0.000 1
Si5 Si 0.500 0.750 0.000 1
Si6 Si 0.750 0.000 0.500 1
N1 N 0.000 0.000 0.000 1
N2 N 0.500 0.500 0.500 1
O1 O 0.067 0.362 0.648 1
O2 O 0.067 0.638 0.352 1
O3 O 0.138 0.433 0.148 1
O4 O 0.138 0.567 0.852 1
O5 O 0.148 0.138 0.433 1
O6 O 0.148 0.862 0.567 1
O7 O 0.352 0.067 0.638 1
O8 O 0.352 0.933 0.362 1
O9 O 0.362 0.352 0.933 1
O10 O 0.362 0.648 0.067 1
O11 O 0.433 0.148 0.138 1
O12 O 0.433 0.852 0.862 1
O13 O 0.567 0.148 0.862 1
O14 O 0.567 0.852 0.138 1
O15 O 0.638 0.352 0.067 1
O16 O 0.638 0.648 0.933 1
O17 O 0.648 0.067 0.362 1
O18 O 0.648 0.933 0.638 1
O19 O 0.852 0.138 0.567 1
O20 O 0.852 0.862 0.433 1
O21 O 0.862 0.433 0.852 1
O22 O 0.862 0.567 0.148 1
O23 O 0.933 0.362 0.352 1
O24 O 0.933 0.638 0.648 1
```

Computed properties:
Its space-group type is P-43n, No. 218. The volume comes out at 15.42 Å³ per atom. The value obtained for the formation energy is -2748.6 meV per atom. For the total energy, the calculation gives -6.760 eV per atom. The MP2020-corrected energy is -7.12 eV per atom. As for the crystal system: cubic.

[2]
+++
## Outcome
This record from the Materials Project describes crystalline Ti3Zn3C at its relaxed geometry. The functional is r²SCAN.

Values from the calculation:
Total DFT energy (no corrections): -11.290 eV/atom
ΔH_f (0 K): -506 meV per atom
Space group: Fd-3m

Lattice parameters (Å, degrees): 8.138 8.138 8.138 60.00 60.00 60.00
Atoms (fractional coordinates):
Ti1 0.933 0.567 0.567
Ti2 0.317 0.317 0.683
Ti3 0.317 0.683 0.317
Ti4 0.933 0.933 0.567
Ti5 0.683 0.317 0.683
Ti6 0.933 0.567 0.933
Ti7 0.567 0.933 0.933
Ti8 0.683 0.683 0.317
Ti9 0.683 0.317 0.317
Ti10 0.567 0.567 0.933
Ti11 0.567 0.933 0.567
Ti12 0.317 0.683 0.683
C1 0.625 0.625 0.125
C2 0.625 0.625 0.625
C3 0.625 0.125 0.625
C4 0.125 0.625 0.625
Zn1 0.334 0.998 0.334
Zn2 0.125 0.625 0.125
Zn3 0.252 0.916 0.916
Zn4 0.916 0.916 0.916
Zn5 0.334 0.334 0.998
Zn6 0.125 0.125 0.625
Zn7 0.625 0.125 0.125
Zn8 0.916 0.252 0.916
Zn9 0.125 0.125 0.125
Zn10 0.916 0.916 0.252
Zn11 0.998 0.334 0.334
Zn12 0.334 0.334 0.334

This record from the Materials Project describes crystalline Yb3TlC at its relaxed geometry. The functional is r²SCAN.

Values from the calculation:
Total DFT energy (no corrections): -32.964 eV/atom
ΔH_f (0 K): 1579 meV per atom
Space group: Pm-3m

Lattice parameters (Å, degrees): 5.452 5.452 5.452 90.00 90.00 90.00
Atoms (fractional coordinates):
Tl1 0.500 0.500 0.500
Yb1 0.000 0.500 0.500
Yb2 0.500 0.000 0.500
Yb3 0.500 0.500 0.000
C1 0.000 0.000 0.000

This record from the Materials Project describes crystalline Tm2C at its relaxed geometry. The functional is r²SCAN.

Values from the calculation:
Total DFT energy (no corrections): -27.236 eV/atom
ΔH_f (0 K): -506 meV per atom
Space group: R-3m

Lattice parameters (Å, degrees): 3.533 3.533 6.283 73.67 90.00 120.00
Atoms (fractional coordinates):
Tm1 0.990 0.980 0.029
Tm2 0.510 0.020 0.471
C1 0.250 0.500 0.250

Number 1 is which compound? Ti3Zn3C

~~~~~

[1]
DFT (PBE) results for crystalline Na4Al3Si3NO12 at its relaxed geometry.

```
data_Na4Al3Si3NO12
_chemical_formula_sum 'Na8 Al6 Si6 N2 O24'
_cell_length_a 8.917
_cell_length_b 8.917
_cell_length_c 8.917
_cell_angle_alpha 90.00
_cell_angle_beta 90.00
_cell_angle_gamma 90.00
_symmetry_space_group_name_H-M 'P 1'
_symmetry_Int_Tables_number 1
_symmetry_space_group_name_Hall 'P 1'
loop_
_atom_site_label
_atom_site_type_symbol
_atom_site_fract_x
_atom_site_fract_y
_atom_site_fract_z
_atom_site_occupancy
Na1 Na 0.171 0.171 0.171 1
Na2 Na 0.171 0.829 0.829 1
Na3 Na 0.329 0.329 0.671 1
Na4 Na 0.329 0.671 0.329 1
Na5 Na 0.671 0.329 0.329 1
Na6 Na 0.671 0.671 0.671 1
Na7 Na 0.829 0.171 0.829 1
Na8 Na 0.829 0.829 0.171 1
Al1 Al 0.000 0.250 0.500 1
Al2 Al 0.000 0.750 0.500 1
Al3 Al 0.250 0.500 0.000 1
Al4 Al 0.500 0.000 0.250 1
Al5 Al 0.500 0.000 0.750 1
Al6 Al 0.750 0.500 0.000 1
Si1 Si 0.000 0.500 0.250 1
Si2 Si 0.000 0.500 0.750 1
Si3 Si 0.250 0.000 0.500 1
Si4 Si 0.500 0.250 0.000 1
Si5 Si 0.500 0.750 0.000 1
Si6 Si 0.750 0.000 0.500 1
N1 N 0.000 0.000 0.000 1
N2 N 0.500 0.500 0.500 1
O1 O 0.067 0.362 0.648 1
O2 O 0.067 0.638 0.352 1
O3 O 0.138 0.433 0.148 1
O4 O 0.138 0.567 0.852 1
O5 O 0.148 0.138 0.433 1
O6 O 0.148 0.862 0.567 1
O7 O 0.352 0.067 0.638 1
O8 O 0.352 0.933 0.362 1
O9 O 0.362 0.352 0.933 1
O10 O 0.362 0.648 0.067 1
O11 O 0.433 0.148 0.138 1
O12 O 0.433 0.852 0.862 1
O13 O 0.567 0.148 0.862 1
O14 O 0.567 0.852 0.138 1
O15 O 0.638 0.352 0.067 1
O16 O 0.638 0.648 0.933 1
O17 O 0.648 0.067 0.362 1
O18 O 0.648 0.933 0.638 1
O19 O 0.852 0.138 0.567 1
O20 O 0.852 0.862 0.433 1
O21 O 0.862 0.433 0.852 1
O22 O 0.862 0.567 0.148 1
O23 O 0.933 0.362 0.352 1
O24 O 0.933 0.638 0.648 1
```

Computed properties:
Its space-group type is P-43n, No. 218. The volume comes out at 15.42 Å³ per atom. The value obtained for the formation energy is -2748.6 meV per atom. For the total energy, the calculation gives -6.760 eV per atom. The MP2020-corrected energy is -7.12 eV per atom. As for the crystal system: cubic.

[2]